Right-Wing Flame War! |
scream-of-consciousness; "If you're trying to change minds and influence people it's probably not a good idea to say that virtually all elected Democrats are liars, but what the hell."
Right-Wing Flame War! |
"If the number of Islamic terror attacks continues at the current rate, candlelight vigils will soon be the number-one cause of global warming. " |
This will be the comment box |
"Didja read this? So that's what "bloggers" are like..."
nice twofer, NYT.
I haven't been to LGF in over a year. I lost interest when CJ went into a full bore assault on creationists. Even though I don't have a religious bone in my body, I fail to see how creationists are a threat to the Republic.
Then CJ got into wars with sites like Gate of Vienna and other blogs that I read regularly. Just stopped reading LGF at that point.
What the leftards think of the backstabber:
CJ: the Joe Lieberman of the blogosphere
As Napoleon sais of the Swiss:
"The fence sitters make a good target for both sides"
(Calculated crystals that have nothing to do with the text)
/*
A plane-wave DFT calculation with r2SCAN was carried out for a geometry-optimized Hf3Sc4O12 structure.

Properties
formation energy from the elements = -73.5 eV per formula unit

Unit cell a=6.145 b=6.142 c=12.213 alpha=99.34 beta=99.38 gamma=99.63
Fractional coordinates of all 38 atoms:
Hf 0.141 0.611 0.406
Hf 0.682 0.858 0.945
Hf 0.995 0.996 0.251
Hf 0.005 0.004 0.749
Hf 0.318 0.142 0.055
Hf 0.859 0.389 0.594
Sc 0.136 0.605 0.905
Sc 0.392 0.690 0.680
Sc 0.394 0.680 0.181
Sc 0.681 0.859 0.445
Sc 0.319 0.141 0.555
Sc 0.608 0.310 0.320
Sc 0.606 0.320 0.819
Sc 0.864 0.395 0.095
O 0.093 0.938 0.410
O 0.093 0.947 0.912
O 0.052 0.682 0.701
O 0.061 0.676 0.212
O 0.414 0.817 0.537
O 0.427 0.825 0.040
O 0.179 0.415 0.037
O 0.174 0.420 0.536
O 0.677 0.906 0.278
O 0.685 0.908 0.783
O 0.419 0.571 0.341
O 0.423 0.586 0.842
O 0.581 0.429 0.659
O 0.577 0.414 0.158
O 0.323 0.094 0.722
O 0.315 0.092 0.217
O 0.826 0.580 0.464
O 0.821 0.585 0.963
O 0.573 0.175 0.960
O 0.586 0.183 0.463
O 0.948 0.318 0.299
O 0.939 0.324 0.788
O 0.907 0.062 0.590
O 0.907 0.053 0.088

---

A plane-wave DFT calculation with r2SCAN was carried out for a geometry-optimized Sr2Hf7O16 structure.

Properties
formation energy from the elements = -95.6 eV per formula unit

Unit cell a=9.590 b=9.590 c=9.590 alpha=38.66 beta=38.66 gamma=38.66
Fractional coordinates of all 25 atoms:
Sr 0.334 0.334 0.334
Sr 0.666 0.666 0.666
Hf 0.000 0.000 0.000
Hf 0.887 0.252 0.515
Hf 0.485 0.113 0.748
Hf 0.748 0.485 0.113
Hf 0.252 0.515 0.887
Hf 0.515 0.887 0.252
Hf 0.113 0.748 0.485
O 0.236 0.236 0.236
O 0.963 0.229 0.680
O 0.851 0.150 0.410
O 0.590 0.149 0.850
O 0.320 0.037 0.771
O 0.771 0.320 0.037
O 0.850 0.590 0.149
O 0.570 0.570 0.570
O 0.430 0.430 0.430
O 0.150 0.410 0.851
O 0.229 0.680 0.963
O 0.680 0.963 0.229
O 0.410 0.851 0.150
O 0.149 0.850 0.590
O 0.037 0.771 0.320
O 0.764 0.764 0.764

---

A plane-wave DFT calculation with r2SCAN was carried out for a geometry-optimized Sr3Hf2O7 structure.

Properties
formation energy from the elements = -43.0 eV per formula unit

Unit cell a=11.005 b=11.005 c=5.714 alpha=90.00 beta=90.00 gamma=149.90
Fractional coordinates of all 24 atoms:
Sr 0.188 0.812 0.500
Sr 0.812 0.188 0.500
Sr 0.688 0.312 0.000
Sr 0.000 0.000 0.500
Sr 0.500 0.500 0.000
Sr 0.312 0.688 0.000
Hf 0.098 0.902 0.000
Hf 0.598 0.402 0.500
Hf 0.902 0.098 0.000
Hf 0.402 0.598 0.500
O 0.196 0.804 0.000
O 0.605 0.798 0.202
O 0.298 0.105 0.702
O 0.702 0.895 0.702
O 0.395 0.202 0.202
O 0.000 0.000 0.000
O 0.696 0.304 0.500
O 0.804 0.196 0.000
O 0.105 0.298 0.298
O 0.798 0.605 0.798
O 0.895 0.702 0.298
O 0.202 0.395 0.798
O 0.500 0.500 0.500
O 0.304 0.696 0.500

---

A plane-wave DFT calculation with r2SCAN was carried out for a geometry-optimized Sr4Hf3O10 structure.

Properties
formation energy from the elements = -61.6 eV per formula unit

Unit cell a=15.024 b=15.024 c=5.722 alpha=90.00 beta=90.00 gamma=158.05
Fractional coordinates of all 34 atoms:
Sr 0.430 0.570 0.000
Sr 0.706 0.294 0.000
*/
(Back to the text)
Obviously, the Jihadists and the
-- begin --
{"formula": "ZrSe", "functional": "GGA-PBE", "state": "optimized geometry", "cell": [[5.190, 0.000, 0.000], [2.441, 6.180, 0.000], [2.547, 0.024, 6.190]], "species": ["Se", "Zr", "Zr", "Zr", "Se", "Se", "Se", "Zr"], "frac_coords": [[0.233, 0.662, 0.376], [0.664, 0.760, 0.421], [0.336, 0.240, 0.579], [0.081, 0.081, 0.259], [0.767, 0.338, 0.624], [0.609, 0.125, 0.160], [0.391, 0.875, 0.840], [0.919, 0.919, 0.741]], "density_g_cm3": 5.69, "dft_energy_ev_per_atom": -7.030, "ef_mev_per_atom": -1244, "m_tot_mub_per_cell": 0.01}

{"formula": "Sm5Si3", "functional": "GGA-PBE", "state": "optimized geometry", "cell": [[4.327, -7.495, 0.000], [4.327, 7.495, 0.000], [0.000, 0.000, 6.567]], "species": ["Si", "Sm", "Si", "Sm", "Sm", "Si", "Si", "Sm", "Si", "Sm", "Sm", "Sm", "Sm", "Si", "Sm", "Sm"], "frac_coords": [[0.391, 0.391, 0.250], [0.247, 0.000, 0.250], [0.000, 0.609, 0.250], [0.000, 0.753, 0.750], [0.753, 0.753, 0.250], [0.609, 0.000, 0.250], [0.609, 0.609, 0.750], [0.000, 0.247, 0.250], [0.000, 0.391, 0.750], [0.333, 0.667, 0.500], [0.333, 0.667, 0.000], [0.753, 0.000, 0.750], [0.247, 0.247, 0.750], [0.391, 0.000, 0.750], [0.667, 0.333, 0.500], [0.667, 0.333, 0.000]], "density_g_cm3": 6.52, "dft_energy_ev_per_atom": -5.592, "ef_mev_per_atom": -582}

{"formula": "Sm3Si", "functional": "GGA-PBE", "state": "optimized geometry", "cell": [[0.177, 6.131, 3.237], [-3.156, -5.407, 2.984], [4.361, -1.309, 2.241]], "species": ["Si", "Sm", "Sm", "Sm", "Sm", "Sm", "Si", "Sm"], "frac_coords": [[0.667, 0.333, 0.250], [0.820, 0.640, 0.750], [0.640, 0.820, 0.250], [0.360, 0.180, 0.750], [0.820, 0.180, 0.750], [0.180, 0.360, 0.250], [0.333, 0.667, 0.750], [0.180, 0.820, 0.250]], "density_g_cm3": 7.53, "dft_energy_ev_per_atom": -5.141, "ef_mev_per_atom": -228, "m_tot_mub_per_cell": 0.00}

{"formula": "SiSn", "functional": "GGA-PBE", "state": "optimized geometry", "cell": [[0.000, 3.035, 3.035], [3.035, 0.000, 3.035], [3.035, 3.035, 0.000]], "species": ["Sn", "Si"], "frac_coords": [[0.250, 0.250, 0.250], [0.000, 0.000, 0.000]], "density_g_cm3": 4.36, "dft_energy_ev_per_atom": -4.561, "ef_mev_per_atom": 156, "m_tot_mub_per_cell": 0.00}

{"formula": "Si18Sn", "functional": "GGA-PBE", "state": "optimized geometry", "cell": [[4.924, 1.767, 0.000], [-4.924, 1.767, 0.000], [0.000, 0.092, 63.315]], "species": ["Si", "Si", "Si", "Si", "Si", "Sn", "Si", "Si", "Si", "Si", "Si", "Si", "Si", "Si", "Si", "Si", "Si", "Si", "Si"], "frac_coords": [[0.573, 0.573, 0.448], [0.121, 0.451, 0.401], [0.451, 0.121, 0.401], [0.784, 0.784, 0.402], [0.055, 0.385, 0.201], [0.200, 0.200, 0.600], [0.720, 0.720, 0.201], [0.238, 0.907, 0.449], [0.102, 0.771, 0.049], [0.990, 0.320, 0.000], [0.656, 0.656, 0.000], [0.385, 0.055, 0.201], [0.839, 0.169, 0.249], [0.907, 0.238, 0.449], [0.771, 0.102, 0.049], [0.169, 0.839, 0.249], [0.320, 0.990, 0.000], [0.503, 0.503, 0.249], [0.436, 0.436, 0.050]], "density_g_cm3": 0.94, "dft_energy_ev_per_atom": -4.483, "ef_mev_per_atom": 867, "m_tot_mub_per_cell": 0.40}
-- stop --
Here the piece continues:
Bolcheviks are still sore at him,
Charlie, their new convert......
I stopped when he agreed that Global Warming is real.
More from lgfwatch:
"his moral claim was established early on as "your a nazi!"
that structure lead to charles' superficial pivot from left to right"
"Chucky thinks he's being awfully clever. He's actually being incredibly stupid. What he has effectively done is totally alienate himself from both ends of the U.S. political spectrum. He didn't tow the narrow right-wing line(although he sure did attempt it), and he has committed many of the cardinal sins of the left for which there is no atonement.
Now all he has is a small band of sycophantic cultists who have to figuratively submit their testicles to him in order to remain on his pointless, irrelivant and increasingly advertisement soaked web site."
_Crystal structures, as found in the file_
Entry 1:
Entry from the Materials Project database: KErP4H4O18 after structural relaxation (PBE).

Values from the calculation:
E_form in eV/atom: -1.980
Theoretical density in g cm⁻³: 2.51
Offset from the most stable computed form in eV per atom: 0.012
Crystal system: triclinic

abc: 7.5196 7.5274 15.0859
angles: 91.44 92.46 104.84
With the nearest neighbours (Å) after each atom.
Atoms (fractional coordinates):
K (0.0311, 0.4689, 0.2489)  2 O 2.63
K (0.9689, 0.5311, 0.7511)  2 O 2.63
Er (0.4178, 0.0785, 0.7491)  6 O 2.24-2.33
Er (0.5822, 0.9215, 0.2509)  6 O 2.24-2.33
P (0.2807, 0.0247, 0.0862)  4 O 1.49-1.64
P (0.2858, 0.8193, 0.4271)  4 O 1.50-1.59
P (0.3182, 0.7852, 0.9279)  4 O 1.51-1.59
P (0.4754, 0.2202, 0.4126)  4 O 1.49-1.64
P (0.5246, 0.7798, 0.5874)  4 O 1.49-1.64
P (0.6818, 0.2148, 0.0721)  4 O 1.51-1.59
P (0.7142, 0.1807, 0.5729)  4 O 1.50-1.59
P (0.7193, 0.9753, 0.9138)  4 O 1.49-1.64
H (0.0159, 0.2061, 0.6151)  1 O 1.08
H (0.0663, 0.2264, 0.4190)  1 O 0.98
H (0.2722, 0.4332, 0.0809)  1 O 0.98
H (0.2929, 0.4792, 0.8851)  1 O 1.13
H (0.7071, 0.5208, 0.1149)  1 O 1.13
H (0.7278, 0.5668, 0.9191)  1 O 0.98
H (0.9337, 0.7736, 0.5810)  1 O 0.98
H (0.9841, 0.7939, 0.3849)  1 O 1.08
O (0.0750, 0.7521, 0.4329)  1 H 1.08
O (0.0882, 0.2157, 0.3555)  1 H 0.98
O (0.1319, 0.1225, 0.0838)  1 P 1.49
O (0.1498, 0.1664, 0.6741)  1 O 1.35, 1 H 1.41
O (0.2285, 0.8617, 0.0084)  2 P 1.58-1.64
O (0.2416, 0.0793, 0.6201)  1 O 1.35
O (0.2511, 0.5759, 0.9341)  1 H 1.13
O (0.2737, 0.8590, 0.8400)  1 P 1.51
O (0.2838, 0.4124, 0.1447)  1 H 0.98
O (0.3227, 0.3563, 0.8289)  1 H 1.31, 1 O 1.34
O (0.3313, 0.9401, 0.1698)  1 P 1.50
O (0.3449, 0.0334, 0.4512)  2 P 1.59-1.63
O (0.3572, 0.7747, 0.3399)  1 P 1.50
O (0.3602, 0.7283, 0.5088)  2 P 1.58-1.64
O (0.3775, 0.3690, 0.4148)  1 P 1.49
O (0.4273, 0.2666, 0.8751)  1 O 1.34
O (0.4405, 0.8285, 0.6702)  1 P 1.50
O (0.4666, 0.1557, 0.0476)  2 P 1.59-1.63
O (0.5334, 0.8443, 0.9524)  2 P 1.59-1.63
O (0.5595, 0.1715, 0.3298)  1 P 1.50
O (0.5727, 0.7334, 0.1249)  1 O 1.34
O (0.6225, 0.6310, 0.5852)  1 P 1.49
O (0.6398, 0.2717, 0.4912)  2 P 1.58-1.64
O (0.6428, 0.2253, 0.6601)  1 P 1.50
O (0.6551, 0.9666, 0.5488)  2 P 1.59-1.63
O (0.6687, 0.0599, 0.8302)  1 P 1.50
O (0.6773, 0.6437, 0.1711)  1 H 1.31, 1 O 1.34
O (0.7162, 0.5876, 0.8553)  1 H 0.98
O (0.7263, 0.1410, 0.1600)  1 P 1.51
O (0.7489, 0.4241, 0.0659)  1 H 1.13
O (0.7584, 0.9207, 0.3799)  1 O 1.35
O (0.7715, 0.1383, 0.9916)  2 P 1.58-1.64
O (0.8502, 0.8336, 0.3259)  1 O 1.35, 1 H 1.41
O (0.8681, 0.8775, 0.9162)  1 P 1.49
O (0.9118, 0.7843, 0.6445)  1 H 0.98
O (0.9250, 0.2479, 0.5671)  1 H 1.08

Entry 2:
Entry from the Materials Project database: KErHSe2O9 after structural relaxation (PBE).

Values from the calculation:
E_form in eV/atom: -1.773
Theoretical density in g cm⁻³: 3.99
Crystal system: triclinic

abc: 5.7617 8.6122 9.4036
angles: 70.29 84.26 74.65
With the nearest neighbours (Å) after each atom.
Atoms (fractional coordinates):
"Steve you are right, all he is is a douchebag. Chuckie's idiosyncratic style of politics has nothing to do with left/right, liberal/conservative. He bases every issue on his emotional response to it in that second. Indicative of this is how with recent comments, he bans people even if they completely agree with him. The guy is so insecure that the slightest infraction in tone(real or imagined) is enough to set him off.
The only real reason he dislikes Glenn Beck is because "a challenger appears" that dwarfs his own considerable megalomania.
The whole thing is fascinating, I swear psychologists should be analysing his break-down over the last year or so."
I can't believe I read the whole thing. Anyone who longs for the days of Cronkite is a fool.
I wouldn't piss on Cronkite's grave.
I would. Where is it?
Does his mother know what he's doing in her basement?
According to findagrave.com it's in Kansas City Mo.
HMMMMM, good centralized location, maybe we should pick a date, get together, and water the old boy. How does the 4th of July work for you guys?
Gee there are so many that deserve a watering. I was just at LGF (fool that I am) and I was reading the post on Glenn Beck's documentary on Friday. Of course the normal vitriol was on tap along with the usual sycophantic drones. I nominate George Bernard Shaw for that honor - his detestable screed documented on the show more than grants him this right. Lets all resolve to piss on Shaw whenever we can!!!